Congressional News
Appropriations negotiations continue
House and Senate appropriators have spent recent days negotiating topline spending levels for all twelve FY21 spending bills and will likely push for an omnibus to pass them as a larger package. COVID-19 emergency supplemental negotiations are also still crawling along, albeit barely. Recently Senator Portman said he is working on a bipartisan proposal for a narrow COVID-19 aid bill that focuses on areas of common ground.
## These crystal structures were left in the entry by mistake
(1)
Computed, not measured: a relaxed CsKGeSe3 crystal at the PBE-GGA level of DFT.

Its formation energy without anion corrections is -0.834 eV per atom. Its crystal system is monoclinic. The total energy is -3.671 eV/atom.

The structure belongs to space group C2/m (No. 12); the cell edges are 9.623, 10.350 and 10.412 Å and the angles 90.00°, 92.71° and 90.00°. The asymmetric unit holds Cs at (0.197, 0.000, 0.119), K at (0.000, 0.262, 0.500), Ge at (0.176, 0.000, 0.705), Se at (0.124, 0.188, 0.806) and Se at (0.248, 0.000, 0.498).

---

(2)
Computed, not measured: a relaxed Mg4Si3 crystal at the PBE-GGA level of DFT.

Its formation energy without anion corrections is -0.032 eV per atom. Its crystal system is triclinic. The total energy is -3.267 eV/atom.

The structure belongs to space group P-1 (No. 2); the cell edges are 5.657, 6.325 and 8.551 Å and the angles 106.09°, 105.19° and 100.54°. The asymmetric unit holds Mg at (0.176, 0.001, 0.162), Mg at (0.223, 0.673, 0.678), Mg at (0.272, 0.494, 0.049), Mg at (0.310, 0.155, 0.588), Si at (0.098, 0.705, 0.325), Si at (0.328, 0.432, 0.368) and Si at (0.378, 0.096, 0.914).

---

(3)
Computed, not measured: a relaxed KMoPb2 crystal at the PBE-GGA level of DFT.

For the formation energy, the calculation gives 422.3 meV per atom. Its crystal system is monoclinic. The total energy is -4.414 eV/atom.

The structure belongs to space group Cm (No. 8); the cell edges are 5.972, 3.429 and 10.496 Å and the angles 90.00°, 101.02° and 90.00°. The asymmetric unit holds K at (0.000, 0.000, 0.000), Mo at (0.331, 0.500, 0.500), Pb at (0.234, 0.000, 0.709) and Pb at (0.428, 0.000, 0.290).

---

(4)
Computed, not measured: a relaxed PaSnH8Ru2 crystal at the PBE-GGA level of DFT.

Its crystal system is monoclinic. The total energy is -4.952 eV/atom.

The structure belongs to space group C2/m (No. 12); the cell edges are 8.190, 4.315 and 6.313 Å and the angles 90.00°, 111.19° and 90.00°. The asymmetric unit holds Pa at (0.000, 0.000, 0.000), Sn at (0.000, 0.500, 0.500), H at (0.071, 0.500, 0.160), H at (0.181, 0.000, 0.362), H at (0.195, 0.252, 0.843) and Ru at (0.207, 0.000, 0.641).

---

(5)
Computed, not measured: a relaxed AcPrIBr crystal at the PBE-GGA level of DFT.

Its formation energy without anion corrections is -0.857 eV per atom. Its crystal system is cubic. The total energy is -3.885 eV/atom.

The structure belongs to space group F-43m (No. 216); the cell edges are 7.922, 7.922 and 7.922 Å and the angles 90.00°, 90.00° and 90.00°. The asymmetric unit holds Ac at (0.000, 0.000, 0.000), Pr at (0.000, 0.000, 0.500), I at (0.250, 0.250, 0.250) and Br at (0.250, 0.250, 0.750).

---

(6)
Computed, not measured: a relaxed SrZr2Fe2 crystal at the PBE-GGA level of DFT.

For the formation energy, the calculation gives 292.6 meV per atom. Its crystal system is tetragonal. The total energy is -6.848 eV/atom.
Securing America from Epidemics Act Passes House
The Securing America from Epidemics Act, H.R. 6334, authorizing U.S. participation in the Coalition for Epidemic Preparedness Innovations (CEPI) passed the House on suspension. The bill has now passed in the House four times. This show of support from Members in the House will be critical when it is time to make contributions to CEPI later on.
Senate releases FY21 Appropriations bills
While no committee markups are planned at this point in time, GHC wants to point out a few key items:
- Global Health programs in SFOPs have a topline of $9.3 billion, an increase of $161.1 million.
- Global health security funding at USAID was increased by $175 million to $275 million.
- Additional reporting is required to provide more clarity towards multilateral institutions.
- USAID’s Emergency Reserve fund was not included.
- The Senate reiterated support for the U.S.-Africa Institute.
- Global health security funding at CDC received a $45 million increase to $228.2 million.
- CDC’s Infectious Disease Rapid Response Fund did not receive an increase.
- Appropriators recommend $865 million for MCH and $150 million for nutrition.
The explanatory statement for the SFOPs bill is available here.
The explanatory statement for L/HHS is available here.
The explanatory statement for Ag/FDA is available here.
What comes next are records of crystals, not part of the page >
/*
This record from the Alexandria database describes KPdI after structural relaxation. The functional is PBE.

Values from the calculation:
density of states at the Fermi level	0.000	states/eV/f.u.
ΔE_f (raw)	-581	meV per atom
magnetic moment	0.00	μB/cell
energy relative to the lowest polymorph listed for this composition	81	meV per atom

a b c (Å): 6.2149 7.0126 4.8879
angles (deg): 97.80 102.01 93.51
With the nearest neighbours (Å) after each atom.
Element x y z (fractional)
I: 0.1384 0.3845 0.1393  3 Pd 2.63-2.72
I: 0.6935 0.9279 0.4743  2 Pd 2.60-2.82
K: 0.5718 0.4494 0.7652  4 Pd 3.28-3.62, 2 I 3.59-3.60
K: 0.1497 0.8900 0.0269  2 Pd 3.26-3.40, 3 I 3.44-3.60
Pd: 0.9046 0.6243 0.3897  2 I 2.60-2.63, 1 Pd 2.88
Pd: 0.9973 0.2593 0.5748  3 I 2.69-2.82, 1 Pd 2.88
*/
Bill text, highlights, and other information can be found here.
Multilateral News
World Health Assembly
The resumed 73rd World Health Assembly took place November 9-13. Delegates addressed a number of topics, but the overarching focus was on COVID-19, health emergencies, and WHO reform efforts. Non-state actors had limited opportunities to engage in substantive discussion. Global Health Council will provide recommendations to WHO for future virtual engagement with non-state actors based on the experience at the Assembly.
You can find the Director General’s closing remarks here. The Independent Panel for Pandemic Preparedness and Response presentation to the resumed WHA is available here.
Sanitation and Hygiene Fund launches
On November 17, the Sanitation and Hygiene Fund launched. The fund is specifically focused on sanitation and hygiene, and sustainable WASH in healthcare facilities. The Fund will invest in country-led programs to accelerate progress in the following areas: scaling-up household sanitation and hygiene services; addressing menstrual health and hygiene gaps while promoting empowerment of women and girls; increasing sustainable water, sanitation, and hygiene and MHH services in schools and healthcare facilities; supporting innovation towards safely managed sanitation, hygiene and MHH. You can find out more about the fund here.
Global Health Security Agenda Ministerial Meeting
The sixth Global Health Security Agenda (GHSA) Ministerial meeting, hosted by the Thai government took place November 18-20, with the theme “Bridging Cooperative Action for Global Health Security.” A full list of commitments from the meeting can be found here.
G20 Health Ministers Declaration
Recently, G20 health ministers issued a declaration that expresses support for the Access to COVID-19 Tools Accelerator (ACT-A), strengthening WHO’s mandate in coordinating the international fight against the pandemic, improving value in health systems, digital health, patient safety, and antimicrobial resistance (AMR). You can read the full statement here.
2020 World Malaria Report
The 2020 edition of the World Malaria Report reviews key milestones that helped shape the global response over the last twenty years. Featuring detailed analysis of the burden of malaria at global, regional, and country levels – it tracks investments and research as well as progress across all intervention areas. You can read the report here.
The post Advocacy Updates ~ November 30, 2020 appeared first on Global Health Council.